New patch today?
in Test Center
## Calculated crystals, as found in the file
~~~
Density functional theory data (PBE with a Hubbard U) for Li4Cr3Co3Sn2O16 after structural relaxation.

Calculated values
Relative energy among the computed polymorphs ... 0 meV/atom
Formation energy from the elements ... -1.97 eV/atom
Uncorrected energy ... -6.375 eV per atom
Mass density ... 4.94 g/cm3
Spin magnetization ... 9.00 μB/f.u.
Energy with MP2020 corrections ... -7.16 eV per atom

a = 5.853 Å, b = 5.860 Å, c = 9.636 Å
α = 90.09°, β = 90.75°, γ = 119.69°
Sites, in units of the cell vectors:
Li1 0.000 0.000 0.000
Li2 0.005 0.999 0.499
Li3 0.327 0.661 0.898
Li4 0.655 0.328 0.396
Cr1 0.656 0.827 0.220
Cr2 0.826 0.656 0.719
Cr3 0.827 0.171 0.722
Co1 0.163 0.335 0.220
Co2 0.165 0.827 0.220
Co3 0.335 0.164 0.720
Sn1 0.326 0.660 0.496
Sn2 0.658 0.325 0.000
O1 0.001 0.007 0.811
O2 0.011 0.000 0.312
O3 0.027 0.514 0.332
O4 0.153 0.315 0.608
O5 0.157 0.838 0.606
O6 0.310 0.151 0.112
O7 0.311 0.657 0.117
O8 0.465 0.963 0.339
O9 0.470 0.507 0.342
O10 0.505 0.472 0.842
O11 0.508 0.027 0.839
O12 0.655 0.315 0.613
O13 0.679 0.844 0.605
O14 0.839 0.155 0.105
O15 0.845 0.681 0.107
O16 0.962 0.470 0.843

Density functional theory data (PBE with a Hubbard U) for AlCr3O6 after structural relaxation.

Calculated values
Formation energy from the elements ... -2.56 eV/atom
Uncorrected energy ... -7.784 eV per atom
Mass density ... 4.23 g/cm3
Spin magnetization ... 9.00 μB/f.u.
Energy with MP2020 corrections ... -8.80 eV per atom

a = 5.908 Å, b = 5.908 Å, c = 14.482 Å
α = 90.00°, β = 90.00°, γ = 120.00°
Sites, in units of the cell vectors:
Al1 0.000 0.000 0.127
Al2 0.000 0.000 0.873
Al3 0.333 0.667 0.455
Al4 0.667 0.333 0.545
Cr1 0.000 0.000 0.500
Cr2 0.000 0.500 0.000
Cr3 0.170 0.340 0.668
Cr4 0.170 0.830 0.668
Cr5 0.333 0.667 0.829
Cr6 0.340 0.170 0.332
Cr7 0.500 0.000 0.000
Cr8 0.500 0.500 0.000
Cr9 0.660 0.830 0.668
Cr10 0.667 0.333 0.171
Cr11 0.830 0.170 0.332
Cr12 0.830 0.660 0.332
O1 0.000 0.000 0.255
O2 0.000 0.000 0.745
O3 0.037 0.519 0.742
O4 0.162 0.324 0.418
O5 0.162 0.838 0.418
O6 0.168 0.337 0.916
O7 0.168 0.832 0.916
O8 0.324 0.162 0.582
O9 0.333 0.667 0.063
O10 0.333 0.667 0.581
O11 0.337 0.168 0.084
O12 0.481 0.519 0.742
O13 0.481 0.963 0.742
O14 0.519 0.037 0.258
O15 0.519 0.481 0.258
O16 0.663 0.832 0.916
O17 0.667 0.333 0.419
O18 0.667 0.333 0.937
O19 0.676 0.838 0.418
O20 0.832 0.168 0.084
O21 0.832 0.663 0.084
O22 0.838 0.162 0.582
O23 0.838 0.676 0.582
O24 0.963 0.481 0.258

Density functional theory data (PBE with a Hubbard U) for MgCo2Ni4O8 after structural relaxation.

Calculated values
Relative energy among the computed polymorphs ... 415 meV/atom
Formation energy from the elements ... -0.86 eV/atom
Uncorrected energy ... -4.830 eV per atom
Mass density ... 4.91 g/cm3
Spin magnetization ... 15.98 μB/f.u.
Energy with MP2020 corrections ... -6.09 eV per atom

a = 6.243 Å, b = 6.234 Å, c = 6.201 Å
α = 60.27°, β = 60.12°, γ = 59.61°
Sites, in units of the cell vectors:
Mg1 0.000 0.000 0.000
Co1 0.500 0.500 0.500
Co2 0.750 0.750 0.750
~~~
## So much for the calculated crystals
Got a patch but nothing on what it was
Remove Trap = Bad News
Treasure Hunters

Treasure Hunters

Treasure Hunters
Treasure Hunters
"Magic Untrap will no longer work on Treasure Chests, Magic Unlock will work as it is currently implemented on TC1."
Meaning, from my understanding, Magic Untrap will no longer work on any level map. Remove Trap will be a requirement at some level for all maps.
Treasure Hunters
I haven't really tested either lockpicking or remove trap with hiding. I do however know that you can precast spells while attempting to remove the trap, so that's good enough for me.
The 16 tile radius even on level 1 and 2 maps is a pain. I am now forced to add remove trap when I am doing those maps.
I just dug a hoard map in Fel - I ran far more than 16 tiles when defeating the guardians - that restriction only applies to removing the trap
I cast invis before I removed the trap and stayed hidden (GM RT)
The chest contains 18 magic items, including 2 x major arti and 1 x legendary, a bag of 22 - 24 each gems and 50,140 gold, 1 alacrity, 1 Sot (.8), one power scroll (110) and a trove map.
Happy, happy, joy, joy!
(430 luck)
Ilsh hoard map, 2 alacrity, 2 sots (0.2) 53+k gold. Ancient guardians do reveal, but if you've a summons cast to distract it you can get invis without getting too far away.
btw, Petal is re-stocked if anyone wants orange petals (Minoc moongate, say petal)
Treasure Hunters
And all of them reqwuire RT. As I read it anyway, havent made it to test yet myself
What you're thinking is like Uriah said. Magic Unlock for 1-3, lockpick 4-5.
I died on the 0 skill one, but only because I didn't know what to expect (and the patch unchecked my "run mouse in a separate thread" option, so it jacked up my targetting). Once I fixed that, I didn't die on the second attempt at the 0 skill. I was able to precast just quick enough to hide after the guardian spawned, and they spawned just slow enough for my pet to keep on top of it.
It makes sense, considering that, by having 100.0 points invested into Remove Trap, one can have "less" points for doing the actual fighting....
I worry much that with this limit, now, it might no longer be possible to go off screen which might complicate the fights for quite a number of Treasure Hunters....
The Remove Trap loop for Treasure Chests has been redesigned as follows,
Treasure Hunters
Treasure Hunters
You can disarm ALL of the chests with ZERO remove trap skill.
It just takes longer without skill, resulting in more guardian spawn. Instead of focusing solely on the existence of the skill you do not like, see if you can adapt and learn how to kill the additional spawn. If you have trouble with the spawn, then you can provide constructive feedback.